-- Activity --
Please quote the lines further below up to the one that holds "-1.154 -1.191", that line included.

-- Listing --
........
Entry 1:
# C14H22ClO5PW

C14H22ClO5PW as an isolated structure in a non-equilibrium geometry (ωB97M-V/def2-TZVPD, OMol25).

XYZ file:
```
44
Properties=species:S:1:pos:R:3:mulliken_charge:R:1
W 2.215 1.046 -1.128 1.095
Cl 2.697 -0.363 0.873 -0.164
P -1.557 -0.611 1.590 0.490
O -0.368 -1.383 0.811 0.087
O -1.986 0.599 0.542 -0.059
O 0.957 3.376 0.680 -0.211
O -0.744 0.383 -2.108 -0.241
O -2.821 -1.652 1.370 -0.136
C -4.077 -0.886 3.359 -1.095
C 0.277 -3.668 0.434 -1.201
C 4.168 0.354 -1.943 0.581
C 4.292 1.735 -1.536 -0.129
C 2.687 1.642 -3.215 -0.598
C 0.355 0.589 -1.750 0.256
C 3.372 2.521 -2.313 -0.726
C -4.131 -1.347 1.922 -0.035
C -3.650 2.329 0.873 -1.254
C -2.189 1.976 0.981 -0.075
C 1.432 2.548 -0.002 0.349
C 4.944 -0.803 -1.419 -1.096
C -0.461 -2.492 -0.141 0.036
C 3.178 0.310 -2.989 -0.411
H 2.894 -0.599 -3.515 0.544
H -1.579 2.609 0.326 0.206
H -1.829 2.120 2.012 0.469
H -3.452 -1.550 3.965 0.410
H 5.801 -1.020 -2.070 0.350
H -4.618 -0.597 1.285 0.264
H -5.092 -0.903 3.762 0.397
H -0.282 -4.074 1.282 0.345
H 1.971 1.936 -3.971 0.563
H -4.703 -2.279 1.838 0.368
H -3.695 0.139 3.448 0.395
H -1.514 -2.718 -0.336 0.388
H 4.326 -1.705 -1.376 0.370
H 5.002 2.095 -0.794 0.478
H 1.273 -3.368 0.771 0.296
H -0.005 -2.126 -1.064 0.211
H -4.006 2.213 -0.155 0.381
H 3.267 3.599 -2.270 0.590
H 0.370 -4.452 -0.319 0.438
H -3.787 3.372 1.169 0.408
H -4.259 1.703 1.536 0.263
H 5.327 -0.599 -0.415 0.403
```

## Properties
Maximum force, eV/Å: 9.161
Highest occupied orbital energy (alpha / beta), eV: -23.4 / -23.4
Net charge: +4
Kohn-Sham gap (alpha / beta), eV: 4.1 / 4.1
Total energy, Ha: -1789.6217
Lowest unoccupied orbital energy (alpha / beta), Eh: -0.70816 / -0.70905

Entry 2:
# C14H22EuO5P

C14H22EuO5P as an isolated structure in a non-equilibrium geometry (ωB97M-V/def2-TZVPD, OMol25).

XYZ file:
```
43
Properties=species:S:1:pos:R:3:mulliken_charge:R:1
Eu 0.030 -0.069 -2.351 0.870
P 0.147 0.235 0.488 0.091
O -0.042 -1.005 -5.581 -0.478
O 0.059 -3.885 -2.765 -0.169
O 3.807 0.038 -3.075 -0.176
O -3.729 -0.013 -3.119 -0.139
O 0.024 3.841 -2.745 -0.158
C -2.599 -0.041 -2.976 0.209
C 2.409 -0.267 2.059 -1.638
C 0.055 -0.083 -4.834 -0.046
C 1.917 -0.354 0.618 0.603
C 2.652 0.050 -3.048 0.255
C 2.211 -1.733 0.003 -1.156
C 0.037 -2.735 -2.770 0.314
C -1.254 -1.016 0.697 1.017
C -0.059 1.706 1.529 0.586
C -1.073 2.695 0.929 -1.223
C -2.645 -0.376 0.596 -1.618
C 0.038 2.696 -2.643 0.226
C -0.380 1.340 2.970 -1.647
C -1.067 -1.828 1.972 -1.353
H 2.338 0.748 2.466 0.379
H 2.434 0.414 0.007 0.308
H -1.154 -1.191 2.863 0.218
H -1.116 -1.677 -0.189 0.048
H 3.469 -0.550 2.094 0.479
H 1.993 -1.820 -1.073 0.169
H -1.862 -2.586 2.020 0.477
H 0.318 0.607 3.388 0.312
H -3.389 -1.185 0.632 0.444
H -0.102 -2.354 2.008 0.254
H -1.078 3.605 1.539 0.466
H -2.817 0.181 -0.339 0.283
H 1.669 -2.531 0.533 0.204
H 0.144 1.045 -5.175 0.050
H -1.399 0.954 3.080 0.272
H -0.303 2.245 3.585 0.479
H 3.292 -1.914 0.113 0.450
H -2.846 0.294 1.445 0.291
H -2.089 2.287 0.928 0.219
H 1.857 -0.958 2.713 0.263
H 0.931 2.196 1.506 0.505
H -0.830 2.992 -0.098 0.061
```

## Properties
Expectation value of S²: 15.769
Spin multiplicity: 8
Maximum force, eV/Å: 4.446
Highest occupied orbital energy (alpha / beta), eV: -9.1 / -9.1
Net charge: +1
Kohn-Sham gap (alpha / beta), eV: 4.8 / 5.0
Total energy, Ha: -1974.1773
Lowest unoccupied orbital energy (alpha / beta), Eh: -0.15794 / -0.15416

Entry 3:
# C14H22GeIN4O3PdS3

C14H22GeIN4O3PdS3 as an isolated structure in a non-equilibrium geometry (ωB97M-V/def2-TZVPD, OMol25).

XYZ file:
```
49
Properties=species:S:1:pos:R:3:mulliken_charge:R:1
I 4.605 -3.420 3.205 0.122
Pd 0.635 -1.183 -0.228 0.229
Ge -0.262 -0.351 -3.374 0.889
S 0.339 -3.502 -0.014 -0.415
S 0.380 1.110 -0.715 -0.645
S 0.484 1.720 3.377 1.122
O 1.741 2.064 3.959 -0.628
O -0.427 0.884 4.097 -0.636
O 2.331 -1.548 1.030 -0.595
N -1.928 -3.503 -1.437 -0.323
N -1.998 -4.528 0.603 -0.387
N 1.402 -1.772 3.093 -0.193
N 0.758 0.979 1.893 -0.188
C -0.851 4.245 3.314 -0.598
........

-- Reply --
Entry 1:
# C14H22ClO5PW

C14H22ClO5PW as an isolated structure in a non-equilibrium geometry (ωB97M-V/def2-TZVPD, OMol25).

XYZ file:
```
44
Properties=species:S:1:pos:R:3:mulliken_charge:R:1
W 2.215 1.046 -1.128 1.095
Cl 2.697 -0.363 0.873 -0.164
P -1.557 -0.611 1.590 0.490
O -0.368 -1.383 0.811 0.087
O -1.986 0.599 0.542 -0.059
O 0.957 3.376 0.680 -0.211
O -0.744 0.383 -2.108 -0.241
O -2.821 -1.652 1.370 -0.136
C -4.077 -0.886 3.359 -1.095
C 0.277 -3.668 0.434 -1.201
C 4.168 0.354 -1.943 0.581
C 4.292 1.735 -1.536 -0.129
C 2.687 1.642 -3.215 -0.598
C 0.355 0.589 -1.750 0.256
C 3.372 2.521 -2.313 -0.726
C -4.131 -1.347 1.922 -0.035
C -3.650 2.329 0.873 -1.254
C -2.189 1.976 0.981 -0.075
C 1.432 2.548 -0.002 0.349
C 4.944 -0.803 -1.419 -1.096
C -0.461 -2.492 -0.141 0.036
C 3.178 0.310 -2.989 -0.411
H 2.894 -0.599 -3.515 0.544
H -1.579 2.609 0.326 0.206
H -1.829 2.120 2.012 0.469
H -3.452 -1.550 3.965 0.410
H 5.801 -1.020 -2.070 0.350
H -4.618 -0.597 1.285 0.264
H -5.092 -0.903 3.762 0.397
H -0.282 -4.074 1.282 0.345
H 1.971 1.936 -3.971 0.563
H -4.703 -2.279 1.838 0.368
H -3.695 0.139 3.448 0.395
H -1.514 -2.718 -0.336 0.388
H 4.326 -1.705 -1.376 0.370
H 5.002 2.095 -0.794 0.478
H 1.273 -3.368 0.771 0.296
H -0.005 -2.126 -1.064 0.211
H -4.006 2.213 -0.155 0.381
H 3.267 3.599 -2.270 0.590
H 0.370 -4.452 -0.319 0.438
H -3.787 3.372 1.169 0.408
H -4.259 1.703 1.536 0.263
H 5.327 -0.599 -0.415 0.403
```

## Properties
Maximum force, eV/Å: 9.161
Highest occupied orbital energy (alpha / beta), eV: -23.4 / -23.4
Net charge: +4
Kohn-Sham gap (alpha / beta), eV: 4.1 / 4.1
Total energy, Ha: -1789.6217
Lowest unoccupied orbital energy (alpha / beta), Eh: -0.70816 / -0.70905

Entry 2:
# C14H22EuO5P

C14H22EuO5P as an isolated structure in a non-equilibrium geometry (ωB97M-V/def2-TZVPD, OMol25).

XYZ file:
```
43
Properties=species:S:1:pos:R:3:mulliken_charge:R:1
Eu 0.030 -0.069 -2.351 0.870
P 0.147 0.235 0.488 0.091
O -0.042 -1.005 -5.581 -0.478
O 0.059 -3.885 -2.765 -0.169
O 3.807 0.038 -3.075 -0.176
O -3.729 -0.013 -3.119 -0.139
O 0.024 3.841 -2.745 -0.158
C -2.599 -0.041 -2.976 0.209
C 2.409 -0.267 2.059 -1.638
C 0.055 -0.083 -4.834 -0.046
C 1.917 -0.354 0.618 0.603
C 2.652 0.050 -3.048 0.255
C 2.211 -1.733 0.003 -1.156
C 0.037 -2.735 -2.770 0.314
C -1.254 -1.016 0.697 1.017
C -0.059 1.706 1.529 0.586
C -1.073 2.695 0.929 -1.223
C -2.645 -0.376 0.596 -1.618
C 0.038 2.696 -2.643 0.226
C -0.380 1.340 2.970 -1.647
C -1.067 -1.828 1.972 -1.353
H 2.338 0.748 2.466 0.379
H 2.434 0.414 0.007 0.308
H -1.154 -1.191 2.863 0.218